_Request_
Please give back everything underneath verbatim.

_File_
- - -
Record 1
Compound: SiO2
Source: the Materials Project
Functional: PBE-GGA
Structure: relaxed

E (MP2020) ... -802.83 eV/cell
DFT total energy ... -7.905 eV per atom
Spin magnetization ... 0.00 Bohr magnetons per cell
Formation energy from the elements ... -3256 meV/atom

Unit cell a=14.040 b=5.151 c=25.844 alpha=90.00 beta=90.00 gamma=90.00
Positions (direct):
Si  0.000  0.233  0.081
Si  0.000  0.245  0.562
Si  0.000  0.736  0.150
Si  0.000  0.747  0.631
Si  0.111  0.304  0.390
Si  0.111  0.808  0.322
Si  0.196  0.201  0.500
Si  0.196  0.744  0.211
Si  0.209  0.762  0.664
Si  0.210  0.290  0.047
Si  0.290  0.710  0.547
Si  0.291  0.238  0.164
Si  0.304  0.256  0.711
Si  0.304  0.799  0.000
Si  0.389  0.192  0.822
Si  0.389  0.696  0.890
Si  0.500  0.253  0.131
Si  0.500  0.264  0.650
Si  0.500  0.755  0.062
Si  0.500  0.767  0.581
Si  0.611  0.192  0.822
Si  0.611  0.696  0.890
Si  0.696  0.256  0.711
Si  0.696  0.799  0.000
Si  0.709  0.238  0.164
Si  0.710  0.710  0.547
Si  0.790  0.290  0.047
Si  0.791  0.762  0.664
Si  0.804  0.201  0.500
Si  0.804  0.744  0.211
Si  0.889  0.304  0.390
Si  0.889  0.808  0.322
O  0.000  0.047  0.611
O  0.000  0.271  0.409
O  0.000  0.435  0.130
O  0.000  0.546  0.582
O  0.000  0.796  0.303
O  0.000  0.933  0.101
O  0.093  0.188  0.527
O  0.094  0.280  0.046
O  0.094  0.794  0.184
O  0.095  0.699  0.665
O  0.129  0.593  0.367
O  0.135  0.093  0.345
O  0.182  0.264  0.439
O  0.182  0.757  0.274
O  0.228  0.041  0.692
O  0.235  0.458  0.197
O  0.240  0.579  0.028
O  0.248  0.769  0.604
O  0.249  0.921  0.506
O  0.251  0.079  0.006
O  0.252  0.231  0.104
O  0.260  0.421  0.528
O  0.265  0.542  0.697
O  0.272  0.959  0.192
O  0.318  0.243  0.774
O  0.318  0.736  0.939
O  0.365  0.907  0.845
O  0.371  0.407  0.867
O  0.405  0.301  0.165
O  0.406  0.206  0.684
O  0.406  0.720  0.546
O  0.407  0.812  0.027
O  0.500  0.067  0.601
O  0.500  0.204  0.803
O  0.500  0.454  0.082
O  0.500  0.565  0.630
O  0.500  0.729  0.909
O  0.500  0.953  0.111
O  0.593  0.812  0.027
O  0.594  0.206  0.684
O  0.594  0.720  0.546
O  0.595  0.301  0.165
O  0.629  0.407  0.867
O  0.635  0.907  0.845
O  0.682  0.243  0.774
O  0.682  0.736  0.939
O  0.728  0.959  0.192
O  0.735  0.542  0.697
O  0.740  0.421  0.528
O  0.748  0.231  0.104
O  0.749  0.079  0.006
O  0.751  0.921  0.506
O  0.752  0.769  0.604
O  0.760  0.579  0.028
O  0.765  0.458  0.197
O  0.772  0.041  0.692
O  0.818  0.264  0.439
O  0.818  0.757  0.274
O  0.865  0.093  0.345
O  0.871  0.593  0.367
O  0.905  0.699  0.665
O  0.906  0.280  0.046
O  0.906  0.794  0.184
O  0.907  0.188  0.527

---

Record 2
Compound: NdFe5
Source: the Materials Project
Functional: PBE-GGA
Structure: relaxed

DFT total energy ... -7.813 eV per atom
Formation energy from the elements ... 40 meV/atom

Unit cell a=5.143 b=5.143 c=3.947 alpha=90.00 beta=90.00 gamma=120.00
Positions (direct):
Nd  0.000  0.000  0.000
Fe  0.000  0.500  0.500
Fe  0.333  0.667  0.000
Fe  0.500  0.000  0.500
Fe  0.500  0.500  0.500
Fe  0.667  0.333  0.000

---

Record 3
Compound: Er2Mn3Ga
Source: the Materials Project
Functional: PBE-GGA
Structure: relaxed

Energy above the lowest structure with this stoichiometry ... 0 kJ/mol of formula units
DFT total energy ... -6.694 eV per atom
Spin magnetization ... 14.26 Bohr magnetons per cell
Formation energy from the elements ... -85 meV/atom

Unit cell a=5.389 b=5.389 c=8.445 alpha=90.00 beta=90.00 gamma=120.00
Positions (direct):
Er  0.333  0.667  0.065
Er  0.333  0.667  0.435
Er  0.667  0.333  0.565
Er  0.667  0.333  0.935
Mn  0.174  0.348  0.750
Mn  0.174  0.826  0.750
Mn  0.348  0.174  0.250
Mn  0.652  0.826  0.750
Mn  0.826  0.174  0.250
Mn  0.826  0.652  0.250
Ga  0.000  0.000  0.000
Ga  0.000  0.000  0.500

---

Record 4
Compound: MgIn
Source: the Materials Project
Functional: PBE-GGA
Structure: relaxed

DFT total energy ... -2.235 eV per atom
Formation energy from the elements ... -59 meV/atom
- - -

_Solution_
Record 1
Compound: SiO2
Source: the Materials Project
Functional: PBE-GGA
Structure: relaxed

E (MP2020) ... -802.83 eV/cell
DFT total energy ... -7.905 eV per atom
Spin magnetization ... 0.00 Bohr magnetons per cell
Formation energy from the elements ... -3256 meV/atom

Unit cell a=14.040 b=5.151 c=25.844 alpha=90.00 beta=90.00 gamma=90.00
Positions (direct):
Si  0.000  0.233  0.081
Si  0.000  0.245  0.562
Si  0.000  0.736  0.150
Si  0.000  0.747  0.631
Si  0.111  0.304  0.390
Si  0.111  0.808  0.322
Si  0.196  0.201  0.500
Si  0.196  0.744  0.211
Si  0.209  0.762  0.664
Si  0.210  0.290  0.047
Si  0.290  0.710  0.547
Si  0.291  0.238  0.164
Si  0.304  0.256  0.711
Si  0.304  0.799  0.000
Si  0.389  0.192  0.822
Si  0.389  0.696  0.890
Si  0.500  0.253  0.131
Si  0.500  0.264  0.650
Si  0.500  0.755  0.062
Si  0.500  0.767  0.581
Si  0.611  0.192  0.822
Si  0.611  0.696  0.890
Si  0.696  0.256  0.711
Si  0.696  0.799  0.000
Si  0.709  0.238  0.164
Si  0.710  0.710  0.547
Si  0.790  0.290  0.047
Si  0.791  0.762  0.664
Si  0.804  0.201  0.500
Si  0.804  0.744  0.211
Si  0.889  0.304  0.390
Si  0.889  0.808  0.322
O  0.000  0.047  0.611
O  0.000  0.271  0.409
O  0.000  0.435  0.130
O  0.000  0.546  0.582
O  0.000  0.796  0.303
O  0.000  0.933  0.101
O  0.093  0.188  0.527
O  0.094  0.280  0.046
O  0.094  0.794  0.184
O  0.095  0.699  0.665
O  0.129  0.593  0.367
O  0.135  0.093  0.345
O  0.182  0.264  0.439
O  0.182  0.757  0.274
O  0.228  0.041  0.692
O  0.235  0.458  0.197
O  0.240  0.579  0.028
O  0.248  0.769  0.604
O  0.249  0.921  0.506
O  0.251  0.079  0.006
O  0.252  0.231  0.104
O  0.260  0.421  0.528
O  0.265  0.542  0.697
O  0.272  0.959  0.192
O  0.318  0.243  0.774
O  0.318  0.736  0.939
O  0.365  0.907  0.845
O  0.371  0.407  0.867
O  0.405  0.301  0.165
O  0.406  0.206  0.684
O  0.406  0.720  0.546
O  0.407  0.812  0.027
O  0.500  0.067  0.601
O  0.500  0.204  0.803
O  0.500  0.454  0.082
O  0.500  0.565  0.630
O  0.500  0.729  0.909
O  0.500  0.953  0.111
O  0.593  0.812  0.027
O  0.594  0.206  0.684
O  0.594  0.720  0.546
O  0.595  0.301  0.165
O  0.629  0.407  0.867
O  0.635  0.907  0.845
O  0.682  0.243  0.774
O  0.682  0.736  0.939
O  0.728  0.959  0.192
O  0.735  0.542  0.697
O  0.740  0.421  0.528
O  0.748  0.231  0.104
O  0.749  0.079  0.006
O  0.751  0.921  0.506
O  0.752  0.769  0.604
O  0.760  0.579  0.028
O  0.765  0.458  0.197
O  0.772  0.041  0.692
O  0.818  0.264  0.439
O  0.818  0.757  0.274
O  0.865  0.093  0.345
O  0.871  0.593  0.367
O  0.905  0.699  0.665
O  0.906  0.280  0.046
O  0.906  0.794  0.184
O  0.907  0.188  0.527

---

Record 2
Compound: NdFe5
Source: the Materials Project
Functional: PBE-GGA
Structure: relaxed

DFT total energy ... -7.813 eV per atom
Formation energy from the elements ... 40 meV/atom

Unit cell a=5.143 b=5.143 c=3.947 alpha=90.00 beta=90.00 gamma=120.00
Positions (direct):
Nd  0.000  0.000  0.000
Fe  0.000  0.500  0.500
Fe  0.333  0.667  0.000
Fe  0.500  0.000  0.500
Fe  0.500  0.500  0.500
Fe  0.667  0.333  0.000

---

Record 3
Compound: Er2Mn3Ga
Source: the Materials Project
Functional: PBE-GGA
Structure: relaxed

Energy above the lowest structure with this stoichiometry ... 0 kJ/mol of formula units
DFT total energy ... -6.694 eV per atom
Spin magnetization ... 14.26 Bohr magnetons per cell
Formation energy from the elements ... -85 meV/atom

Unit cell a=5.389 b=5.389 c=8.445 alpha=90.00 beta=90.00 gamma=120.00
Positions (direct):
Er  0.333  0.667  0.065
Er  0.333  0.667  0.435
Er  0.667  0.333  0.565
Er  0.667  0.333  0.935
Mn  0.174  0.348  0.750
Mn  0.174  0.826  0.750
Mn  0.348  0.174  0.250
Mn  0.652  0.826  0.750
Mn  0.826  0.174  0.250
Mn  0.826  0.652  0.250
Ga  0.000  0.000  0.000
Ga  0.000  0.000  0.500

---

Record 4
Compound: MgIn
Source: the Materials Project
Functional: PBE-GGA
Structure: relaxed

DFT total energy ... -2.235 eV per atom
Formation energy from the elements ... -59 meV/atom